So much of our work centers on making positive progress for animals, helping to pass state or federal laws to ensure their protection, working on corporate social responsibility campaigns to get companies to change their practices or appealing directly to the public to raise awareness. But sometimes we must take a different approach, rallying to prevent dangerous regression in animal protection work.
Right now, for example, in Oklahoma, two state bills lowering penalties for animal fighting have cleared the Oklahoma House of Representatives and are now under consideration in the senate; we need your help to stop them.
Last month, the Oklahoma House of Representatives voted in favor of HB 1792 and HB 2530, which would among other things decrease the fine for dogfighting to just $500 and reduce penalties for cockfighting to a low-level misdemeanor with a $500 fine.
This is a terrible step backwards. The Oklahoma legislature passed a law against dogfighting in 1982, and Oklahoma’s cockfighting law was approved by its voters on a statewide ballot in 2002, establishing felony penalties for cockfighting and associated activities such as breeding and trafficking animals for fighting.
There is no reason to take a more lenient stance on animal fighting, a form of organized crime centered around conspicuous animal cruelty. In cockfighting, roosters fitted with razor-sharp blades are forced to fight to the death. In the process, the birds are gored, sliced and have their eyes and lungs punctured, while spectators bet on the animals’ will to survive, for gambling and entertainment.
Dogfighting is a felony in all 50 states, and cockfighting is a felony in 42 states and Washington, D.C, and a misdemeanor in eight states, and both dogfighting and cockfighting are federal felonies in all U.S. territories. So why are these proposals to go soft on animal fighting making headway in Oklahoma?
The cockfighters’ political action committee
**Inserted here: materials data**
~~~
Entry from the Alexandria database: a geometry-optimized NbCrHIr2 structure (PBE).

The structure belongs to space group P4/mmm (No. 123); the cell edges are 3.9116, 3.9116 and 4.0420 Å and the angles 90.00°, 90.00° and 90.00°. The distinct sites, in fractional coordinates, are Nb at (0.0000, 0.0000, 0.0000), Cr at (0.5000, 0.5000, 0.0000), H at (0.0000, 0.0000, 0.5000) and Ir at (0.0000, 0.5000, 0.5000).

As for the volume: 62 Å³/f.u. The excess energy over the best structure of this formula in the dataset comes out at 81.3 meV per atom.
~~~
In 2022, a group of people defending cockfighting and animal trafficking formed a political action committee, raised almost $70,000 and donated to the political campaigns of 54 candidates for office. They attended campaign events, enjoyed dinner at the governor’s mansion and even received invitations to the gubernatorial ball. They have been in the state capitol lobbying almost every day since the beginning of the legislative session while committing violations of the state’s ethics laws by not disclosing the source of their donors and not officially registering as lobbyists.
When animal fighting enthusiasts and traffickers lobby for a reduction in penalties for the crime of animal fighting, it’s because the penalty they’re proposing is something they consider an acceptable cost of doing business.
The cockfighters and sponsors of HB 2530 have even made an outrageous comparison to current criminal justice reform initiatives regarding low-level drug possession. But there’s no comparing that kind of reform, which seeks to engage the problem of individuals’ substance abuse more constructively, with softening penalties for the intentional, organized and violent crimes of dogfighting and cockfighting.

Meredith Lee/The HSUS
Animal fighters are not farmers and do not represent rural views
When it’s convenient—like when they’re walking the halls of state capitols or attending dinners with politicians—cockfighters often claim to be farmers representing the views of rural citizens. Nothing could be further from the truth.
Here are the facts. These dangerous bills are being pushed by owners of large gamefowl “farms”—large tracts of land on which hundreds, sometimes even thousands, of roosters are bred and sold for the purpose of fighting. They’re trying to pass themselves off as farmers, but the truth is that they are a direct threat to legitimate farmers and bird flocks because of the high risk of spreading avian influenza and virulent Newcastle disease.
### Unrelated to this page: materials data
-- begin --
{"formula": "Cs3F2", "functional": "PBE", "state": "relaxed", "lattice": [[-4.427, 4.427, 6.855], [4.427, -4.427, 6.855], [4.427, 4.427, -6.855]], "species": ["Cs", "Cs", "Cs", "Cs", "Cs", "Cs", "F", "F", "F", "F"], "fractional_positions": [[0.000, 0.000, 0.000], [0.287, 0.555, 0.732], [0.305, 0.073, 0.768], [0.305, 0.537, 0.232], [0.750, 0.250, 0.500], [0.823, 0.555, 0.268], [0.099, 0.383, 0.284], [0.099, 0.815, 0.716], [0.133, 0.349, 0.784], [0.565, 0.349, 0.216]], "relative_energy_mev_per_atom": 0.0, "space_group": "I4_1md", "formation_energy_uncorrected_ev_per_fu": -10.36}

~~~~~

This record from the Alexandria database describes an optimized crystal structure of CaLaSc2. The functional is PBE. Values from VASP.

The structure in Quantum ESPRESSO input format:
```
&SYSTEM
  ibrav = 0, nat = 8, ntyp = 3
/
ATOMIC_SPECIES
Ca 40.08 Ca.upf
La 138.91 La.upf
Sc 44.96 Sc.upf
ATOMIC_POSITIONS crystal
Ca 0.000 0.000 0.000
Ca 0.500 0.500 0.000
La 0.000 0.000 0.500
La 0.500 0.500 0.500
Sc 0.000 0.500 0.253
Sc 0.000 0.500 0.747
Sc 0.500 0.000 0.253
Sc 0.500 0.000 0.747
CELL_PARAMETERS angstrom
3.671 0.000 0.000
0.000 5.718 0.000
0.000 0.000 11.685
```
-- stop --
### Back to the page
The fighting birds these individuals raise are not being raised to produce food. Instead, these gamefowl “farm” owners are fueling the global cockfighting industry.
Polling in some of the largest cockfighting states—Oklahoma, Kentucky and Georgia—shows that people from all regions and political affiliations oppose animal fighting. In an October 2022 poll, 91.3% of Oklahoma voters, including 86.6% of Republican voters, said they oppose reducing penalties for animal fighting.
What happens in Oklahoma could have negative implications nationwide
Dogfighters and cockfighters across the country are watching to see what happens in Oklahoma. Some of them are donating money to the cockfighting PAC there and contacting Oklahoma legislators to support the bills.
Animal fighting injures more than animals—it wreaks havoc on communities. The Association of Prosecuting Attorneys states that there is “a direct link between the criminal acts of animal fighting and other serious felonies, such as illegal firearms and gambling, drug distribution, money laundering, aggravated assaults, child pornography, human trafficking and gang activity. Experts recognize the need for higher penalties for animal fighting and its associated activities, including the trafficking of animals and being a spectator to a fight. … Animal fighting is a crime of violence, injuring and killing thousands of animals per year. It is a crime that warrants felony accountability.”
/*
A plane-wave DFT calculation with SCAN was carried out for a PBEsol-optimized structure of LaAl2Pd2.

## Properties
energy relative to the lowest polymorph listed for this composition	0.000	eV per formula unit
formation energy	-1014	meV per atom
D(E_F)	3.58	states/eV/f.u.
total magnetization	0.0000	μB per atom
ρ	7015	kg/m3

The structure in extended XYZ format:
```
10
Lattice="4.3859 0.0000 0.0000 0.0000 4.3859 0.0000 0.0000 0.0000 9.9859" Properties=species:S:1:pos:R:3 pbc="T T T"
La 1.0965 1.0965 2.4578
La 3.2894 3.2894 7.5280
Al 1.0965 1.0965 8.7649
Al 1.0965 3.2894 4.9929
Al 3.2894 1.0965 4.9929
Al 3.2894 3.2894 1.2210
Pd 1.0965 1.0965 6.2801
Pd 1.0965 3.2894 0.0000
Pd 3.2894 1.0965 0.0000
Pd 3.2894 3.2894 3.7058
```



A plane-wave DFT calculation with SCAN was carried out for a PBEsol-optimized structure of La2AlPd.

## Properties
formation energy	-290	meV per atom
D(E_F)	2.79	states/eV/f.u.
total magnetization	0.0000	μB per atom
ρ	6534	kg/m3

The structure in extended XYZ format:
```
8
Lattice="-4.1423 4.1423 3.0453 4.1423 -4.1423 3.0453 4.1423 4.1423 -3.0453" Properties=species:S:1:pos:R:3 pbc="T T T"
La 6.2134 1.6842 -0.7613
La 1.6842 2.0711 0.7613
La -2.0711 2.4581 2.2839
La 2.4581 2.0711 3.8066
Al 4.1423 0.0000 1.5226
Al 0.0000 0.0000 3.0453
Pd 0.0000 0.0000 0.0000
Pd 0.0000 4.1423 1.5226
```



A plane-wave DFT calculation with SCAN was carried out for a PBEsol-optimized structure of LaAl2Pd2.

## Properties
energy relative to the lowest polymorph listed for this composition	0.370	eV per formula unit
formation energy	-940	meV per atom
D(E_F)	3.46	states/eV/f.u.
total magnetization	0.0000	μB per atom
ρ	6941	kg/m3

The structure in extended XYZ format:
```
5
Lattice="-2.1784 2.1784 5.1131 2.1784 -2.1784 5.1131 2.1784 2.1784 -5.1131" Properties=species:S:1:pos:R:3 pbc="T T T"
La 0.0000 0.0000 0.0000
Al 0.0000 0.0000 3.7670
Al 0.0000 0.0000 6.4593
Pd 2.1784 0.0000 2.5566
Pd 0.0000 2.1784 2.5566
```



A plane-wave DFT calculation with SCAN was carried out for a PBEsol-optimized structure of LaTaAlPd2.

## Properties
formation energy	1512	meV per atom
D(E_F)	3.35	states/eV/f.u.
total magnetization	0.2220	μB per atom
ρ	7394	kg/m3

The structure in extended XYZ format:
```
5
Lattice="4.8915 0.0000 0.0000 0.0000 4.8915 0.0000 0.0000 0.0000 5.2530" Properties=species:S:1:pos:R:3 pbc="T T T"
La 0.0000 0.0000 0.0000
Ta 0.0000 0.0000 2.6265
Al 2.4457 2.4457 2.6265
Pd 0.0000 2.4457 0.0000
Pd 2.4457 0.0000 0.0000
```

~~~~~

Nd2Al4CoPt3: relaxed, PBE.

Energy of formation = -0.95 eV per atom

```
data_Nd2Al4CoPt3
_space_group_name_H-M_alt 'P -4 m 2'
_space_group_IT_number 115
_space_group_name_Hall 'P -4 -2'
_cell_length_a 4.237
_cell_length_b 4.237
_cell_length_c 10.423
_cell_angle_alpha 90.00
_cell_angle_beta 90.00
_cell_angle_gamma 90.00
loop_
_atom_site_label
_atom_site_fract_x
_atom_site_fract_y
_atom_site_fract_z
Nd1 0.000 0.500 0.243
Al1 0.000 0.000 0.500
Al2 0.000 0.500 0.879
Al3 0.500 0.500 0.500
Co1 0.500 0.500 0.000
*/
Passage of these bills in Oklahoma could create a domino effect, leading to softer penalties regarding animal fighting in other jurisdictions. If that happens, we’ll be battling dangerous bills like these in states across the country over the next few years. Countless animals will suffer and die in fighting pits because the penalty will be the equivalent of a speeding ticket and essentially meaningless.
If you live in Oklahoma, call your state senator and urge a vote against HB 2530 and HB 1792. There is no place for animal fighting in the more humane world we are trying to create.
Follow Kitty Block on Twitter @HSUSKittyBlock.